**Listing**
- - -
Here is C5H10O in the gas phase from the Open Molecules 2025 dataset. Energies are from wB97M-V/def2-TZVPD.

Each line ends with the Löwdin charge.
Positions of all 16 atoms, in Å:
C (1.61251, 0.45835, -0.40169)  -0.0269
C (0.41886, -0.30313, 0.15353)  -0.5778
O (0.84418, -1.54216, 0.69547)  -0.0178
C (-0.75023, -0.39318, -0.85276)  -0.1172
C (-1.64688, 0.42362, 0.09837)  -0.1538
C (-0.52681, 0.38707, 1.16178)  -0.1008
H (1.37681, 1.49937, -0.64368)  0.0874
H (1.92577, -0.01997, -1.34123)  0.0850
H (2.45146, 0.43544, 0.30028)  0.0857
H (1.33067, -2.00847, 0.00316)  0.0964
H (-0.55401, 0.06566, -1.82423)  0.1054
H (-1.07355, -1.42121, -1.00966)  0.1114
H (-2.58247, -0.06358, 0.38487)  0.1000
H (-1.87598, 1.42632, -0.27214)  0.1013
H (-0.74127, -0.29644, 1.98594)  0.1130
H (-0.20907, 1.35234, 1.56198)  0.1086

Total energy = -271.7219 Eh
SMILES string = CC1(O)CCC1
Orbital gap = 10.88 eV
Highest occupied orbital energy = -9.9 eV
ΔE to the lowest compared entry with this formula, charge and spin = 80.7 kJ/mol
2S+1 = 1

* * * * *

1.
The following is a quantum chemistry calculation of 2 unconnected molecules or ions with the total composition C3H7NO, from the Open Molecules 2025 dataset.

Geometry as XYZ:
```
12
C3H7NO ωB97M-V/def2-TZVPD
C -1.792 1.239 0.103
C -1.912 1.689 -1.167
H -0.747 1.065 0.486
H -2.632 0.844 0.673
H -1.075 2.233 -1.662
H -2.856 1.487 -1.729
C 1.784 -2.005 0.915
N 1.960 -0.810 0.214
O 2.625 -2.509 1.710
H 0.721 -2.446 0.862
H 2.808 -0.460 -0.253
H 1.117 -0.327 -0.151
```

net charge	0
energy above the lowest of the compared OMol25 structures with the same formula, charge and spin	211.51	kJ/mol
structure (SMILES)	NC=O.C=C
E_LUMO	0.780	eV
HOMO-LUMO gap	0.4010	Ha
E_HOMO	-10.13	eV



2.
The following is a quantum chemistry calculation of 2 unconnected molecules or ions with the total composition C3H7NO, from the Open Molecules 2025 dataset.

Geometry as XYZ:
```
12
C3H7NO ωB97M-V/def2-TZVPD
C 2.084 -0.445 -0.725
C -1.362 0.506 -0.297
C -1.797 -0.115 0.999
N 2.081 0.435 0.215
O -2.604 0.198 1.822
H 2.519 -1.441 -0.571
H 1.733 -0.380 -1.754
H -0.362 0.197 -0.471
H -1.485 1.654 -0.317
H -2.136 0.255 -1.071
H -1.063 -0.927 1.154
H 2.392 0.062 1.017
```

2S+1	3
net charge	0
energy above the lowest of the compared OMol25 structures with the same formula, charge and spin	143.59	kJ/mol
E_LUMO (spin up / spin down)	0.953 / -3.004	eV
HOMO-LUMO gap (spin up / spin down)	0.2706 / 0.2473	Ha
<S²>	2.006
E_HOMO (spin up / spin down)	-6.41 / -9.73	eV



3.
The following is a quantum chemistry calculation of C3H7NO2 in the gas phase, from the Open Molecules 2025 dataset.

Geometry as XYZ:
```
13
C3H7NO2 ωB97M-V/def2-TZVPD
O 1.837 -0.167 -0.846
C 1.447 0.204 0.241
C 0.353 1.282 0.297
O -0.905 0.798 0.684
C -0.951 -0.564 0.354
N -1.166 -0.765 -1.045
H -0.268 -0.852 -1.513
H 0.088 -0.938 0.633
H 2.018 -0.091 1.143
H 0.614 2.060 1.009
H 0.379 1.675 -0.727
H -1.758 -1.027 0.945
H -1.688 -1.615 -1.175
```

net charge	0
energy above the lowest of the compared OMol25 structures with the same formula, charge and spin	251.07	kJ/mol
structure (SMILES)	NCOCC=O
E_LUMO	0.697	eV
HOMO-LUMO gap	0.3889	Ha
E_HOMO	-9.89	eV



4.
The following is a quantum chemistry calculation of C3H7NO2 in the gas phase, from the Open Molecules 2025 dataset.

Geometry as XYZ:
```
13
C3H7NO2 ωB97M-V/def2-TZVPD
C -1.331 0.369 0.234
C -0.932 -0.438 -1.012
O 0.471 -0.353 -1.350
C 1.382 -0.568 -0.347
O 1.908 -1.626 -0.101
N 1.648 0.597 0.315
H -1.856 1.301 -0.001
H -0.430 0.627 0.789
H -1.953 -0.221 0.911
H -1.205 -1.491 -0.903
H -1.426 -0.073 -1.912
H 2.305 0.582 1.070
H 1.406 1.480 -0.100
```

net charge	0
energy above the lowest of the compared OMol25 structures with the same formula, charge and spin	85.05	kJ/mol
structure (SMILES)	CCOC(N)=O
E_LUMO	0.850	eV
HOMO-LUMO gap	0.4108	Ha
E_HOMO	-10.33	eV



5.
The following is a quantum chemistry calculation of 2 unconnected molecules or ions with the total composition C3H7NO2, from the Open Molecules 2025 dataset.
- - -

**Job**
Duplicate the whole of the lines further above verbatim.

**Here it is**
Here is C5H10O in the gas phase from the Open Molecules 2025 dataset. Energies are from wB97M-V/def2-TZVPD.

Each line ends with the Löwdin charge.
Positions of all 16 atoms, in Å:
C (1.61251, 0.45835, -0.40169)  -0.0269
C (0.41886, -0.30313, 0.15353)  -0.5778
O (0.84418, -1.54216, 0.69547)  -0.0178
C (-0.75023, -0.39318, -0.85276)  -0.1172
C (-1.64688, 0.42362, 0.09837)  -0.1538
C (-0.52681, 0.38707, 1.16178)  -0.1008
H (1.37681, 1.49937, -0.64368)  0.0874
H (1.92577, -0.01997, -1.34123)  0.0850
H (2.45146, 0.43544, 0.30028)  0.0857
H (1.33067, -2.00847, 0.00316)  0.0964
H (-0.55401, 0.06566, -1.82423)  0.1054
H (-1.07355, -1.42121, -1.00966)  0.1114
H (-2.58247, -0.06358, 0.38487)  0.1000
H (-1.87598, 1.42632, -0.27214)  0.1013
H (-0.74127, -0.29644, 1.98594)  0.1130
H (-0.20907, 1.35234, 1.56198)  0.1086

Total energy = -271.7219 Eh
SMILES string = CC1(O)CCC1
Orbital gap = 10.88 eV
Highest occupied orbital energy = -9.9 eV
ΔE to the lowest compared entry with this formula, charge and spin = 80.7 kJ/mol
2S+1 = 1

* * * * *

1.
The following is a quantum chemistry calculation of 2 unconnected molecules or ions with the total composition C3H7NO, from the Open Molecules 2025 dataset.

Geometry as XYZ:
```
12
C3H7NO ωB97M-V/def2-TZVPD
C -1.792 1.239 0.103
C -1.912 1.689 -1.167
H -0.747 1.065 0.486
H -2.632 0.844 0.673
H -1.075 2.233 -1.662
H -2.856 1.487 -1.729
C 1.784 -2.005 0.915
N 1.960 -0.810 0.214
O 2.625 -2.509 1.710
H 0.721 -2.446 0.862
H 2.808 -0.460 -0.253
H 1.117 -0.327 -0.151
```

net charge	0
energy above the lowest of the compared OMol25 structures with the same formula, charge and spin	211.51	kJ/mol
structure (SMILES)	NC=O.C=C
E_LUMO	0.780	eV
HOMO-LUMO gap	0.4010	Ha
E_HOMO	-10.13	eV



2.
The following is a quantum chemistry calculation of 2 unconnected molecules or ions with the total composition C3H7NO, from the Open Molecules 2025 dataset.

Geometry as XYZ:
```
12
C3H7NO ωB97M-V/def2-TZVPD
C 2.084 -0.445 -0.725
C -1.362 0.506 -0.297
C -1.797 -0.115 0.999
N 2.081 0.435 0.215
O -2.604 0.198 1.822
H 2.519 -1.441 -0.571
H 1.733 -0.380 -1.754
H -0.362 0.197 -0.471
H -1.485 1.654 -0.317
H -2.136 0.255 -1.071
H -1.063 -0.927 1.154
H 2.392 0.062 1.017
```

2S+1	3
net charge	0
energy above the lowest of the compared OMol25 structures with the same formula, charge and spin	143.59	kJ/mol
E_LUMO (spin up / spin down)	0.953 / -3.004	eV
HOMO-LUMO gap (spin up / spin down)	0.2706 / 0.2473	Ha
<S²>	2.006
E_HOMO (spin up / spin down)	-6.41 / -9.73	eV



3.
The following is a quantum chemistry calculation of C3H7NO2 in the gas phase, from the Open Molecules 2025 dataset.

Geometry as XYZ:
```
13
C3H7NO2 ωB97M-V/def2-TZVPD
O 1.837 -0.167 -0.846
C 1.447 0.204 0.241
C 0.353 1.282 0.297
O -0.905 0.798 0.684
C -0.951 -0.564 0.354
N -1.166 -0.765 -1.045
H -0.268 -0.852 -1.513
H 0.088 -0.938 0.633
H 2.018 -0.091 1.143
H 0.614 2.060 1.009
H 0.379 1.675 -0.727
H -1.758 -1.027 0.945
H -1.688 -1.615 -1.175
```

net charge	0
energy above the lowest of the compared OMol25 structures with the same formula, charge and spin	251.07	kJ/mol
structure (SMILES)	NCOCC=O
E_LUMO	0.697	eV
HOMO-LUMO gap	0.3889	Ha
E_HOMO	-9.89	eV



4.
The following is a quantum chemistry calculation of C3H7NO2 in the gas phase, from the Open Molecules 2025 dataset.

Geometry as XYZ:
```
13
C3H7NO2 ωB97M-V/def2-TZVPD
C -1.331 0.369 0.234
C -0.932 -0.438 -1.012
O 0.471 -0.353 -1.350
C 1.382 -0.568 -0.347
O 1.908 -1.626 -0.101
N 1.648 0.597 0.315
H -1.856 1.301 -0.001
H -0.430 0.627 0.789
H -1.953 -0.221 0.911
H -1.205 -1.491 -0.903
H -1.426 -0.073 -1.912
H 2.305 0.582 1.070
H 1.406 1.480 -0.100
```

net charge	0
energy above the lowest of the compared OMol25 structures with the same formula, charge and spin	85.05	kJ/mol
structure (SMILES)	CCOC(N)=O
E_LUMO	0.850	eV
HOMO-LUMO gap	0.4108	Ha
E_HOMO	-10.33	eV



5.
The following is a quantum chemistry calculation of 2 unconnected molecules or ions with the total composition C3H7NO2, from the Open Molecules 2025 dataset.